• Listing:
Entry 1:
This record from OMol25 describes C5H6O as an isolated structure. The level of theory is ωB97M-V/def2-TZVPD.

```
12
Properties=species:S:1:pos:R:3:forces:R:3
O -2.52603 -0.06121 -0.68916 0.191 -0.063 0.468
C -2.10844 -0.24156 0.42867 -0.037 -0.008 -0.369
C -0.66563 -0.05011 0.84545 0.201 -0.338 -0.361
C 0.26071 0.31587 -0.32524 0.229 -0.486 -0.732
C 1.65401 0.21858 -0.23724 0.838 0.530 0.768
C 2.82068 -0.23454 -0.14228 -0.204 0.846 -0.155
H -2.79507 -0.56970 1.24045 0.128 0.093 -0.103
H -0.33893 -0.96212 1.35347 0.005 -0.018 -0.033
H -0.68083 0.72119 1.64882 0.264 -0.171 -0.549
H 1.02017 -0.35587 -1.22426 -2.155 -0.724 0.753
H -0.24663 0.83281 -1.12850 0.282 0.618 0.083
H 3.70147 0.28900 0.18107 0.258 -0.278 0.230
```
Forces are in eV/Å.

Results
Energy relative to the best compared isomer or geometry (same formula, charge and spin) (kJ/mol): 486.3
LUMO level (eV): 0.742
E_tot (a.u.): -269.1610

Here are the natural (NBO) charges for atoms 1 to 4, given in e:
1 O -0.517
2 C 0.447
3 C -0.525
4 C -0.405

***

Entry 2:
This record from OMol25 describes one molecule with the formula C5H6O. The level of theory is ωB97M-V/def2-TZVPD.

```
12
Properties=species:S:1:pos:R:3:forces:R:3
C 1.40224 0.40849 -2.04666 -2.093 -0.939 1.828
C 0.59338 0.15664 -1.18107 1.842 1.749 -1.226
C 0.71798 -0.04831 1.28319 1.964 -0.745 -1.161
C -0.09939 0.22441 0.05192 -2.060 -3.320 0.692
C -1.53508 -0.37603 0.06290 -0.374 5.579 1.355
O 0.16974 1.15073 1.01305 -0.929 4.419 0.137
H 2.12104 0.36206 -2.76588 1.398 0.180 -1.611
H 0.40244 -0.54328 2.14460 -0.963 -1.009 1.137
H 1.79501 0.00176 1.16518 0.181 -0.530 -0.077
H -1.94054 -0.02566 1.08354 0.313 -1.171 -1.510
H -1.41078 -1.35512 -0.08629 -0.092 -3.978 -0.179
H -2.21605 0.04431 -0.72447 0.811 -0.235 0.615
```
Forces are in eV/Å.

Results
Energy relative to the best compared isomer or geometry (same formula, charge and spin) (kJ/mol): 356.5
LUMO level (eV): 1.015
E_tot (a.u.): -269.2105

Here are the natural (NBO) charges for atoms 1 to 4, given in e:
1 C -0.184
2 C -0.042
3 C -0.071
4 C 0.137

***

Entry 3:
This record from OMol25 describes one molecule with the formula C5H6O. The level of theory is ωB97M-V/def2-TZVPD.

```
12
Properties=species:S:1:pos:R:3:forces:R:3
C -1.24014 0.75306 -0.08546 0.113 -0.078 0.023
C -0.74469 -0.56344 0.48912 0.056 0.257 0.182
O -0.78139 -1.56766 -0.54218 0.054 -0.173 0.183
C 0.71935 -0.79480 0.75482 0.126 0.429 -0.096
C 1.65017 0.02659 0.15918 0.452 0.308 0.035
C 2.60294 0.72831 -0.16560 -0.564 -0.334 0.219
H -0.68935 0.99867 -1.00112 -0.113 -0.031 0.199
H -1.09230 1.55765 0.64782 -0.033 -0.195 -0.183
H -2.31111 0.68478 -0.31433 0.239 0.010 0.034
H -1.35367 -0.84960 1.36294 0.153 -0.011 -0.308
H -0.29042 -2.32149 -0.16322 -0.282 -0.039 -0.253
H 3.45710 1.32714 -0.40196 -0.201 -0.144 -0.036
```
Forces are in eV/Å.

Results
Energy relative to the best compared isomer or geometry (same formula, charge and spin) (kJ/mol): 490.4
LUMO level (eV): -1.074
E_tot (a.u.): -269.1594

Here are the natural (NBO) charges for atoms 1 to 4, given in e:
1 C -0.639
2 C -0.005
3 O -0.663
4 C 0.043

***

Entry 4:
This record from OMol25 describes one molecule with the formula C5H6O. The level of theory is ωB97M-V/def2-TZVPD.

```
12
Properties=species:S:1:pos:R:3:forces:R:3
C -2.69116 -0.09582 0.38062 0.096 -0.029 -0.016
C -1.23062 -0.13657 0.30364 0.696 0.027 -0.317
C -0.03672 -0.11036 0.11622 -0.593 0.194 0.087
C 1.31917 0.37598 -0.08440 -0.292 0.102 0.130
C 2.51485 -0.21028 0.53017 0.004 0.113 0.287
O 2.27652 -0.34137 -0.85739 -0.263 -0.136 -0.224
H -3.09738 -0.15258 -0.63621 -0.039 -0.077 0.250
H -3.07590 -0.92600 0.98064 -0.058 0.183 -0.117
H -3.01741 0.85783 0.81767 0.067 -0.303 -0.031
H 1.28748 1.44732 -0.27791 0.337 -0.085 0.001
H 2.40790 -1.12886 1.10975 0.081 0.240 -0.097
H 3.32609 0.46700 0.79415 -0.036 -0.230 0.048
```
Forces are in eV/Å.

Results
Energy relative to the best compared isomer or geometry (same formula, charge and spin) (kJ/mol): 266.2

• Exercise:
Find the line earlier on that holds "-1.41078 -1.35512", then quote that line and all lines after it there, please.

• Response:
H -1.41078 -1.35512 -0.08629 -0.092 -3.978 -0.179
H -2.21605 0.04431 -0.72447 0.811 -0.235 0.615
```
Forces are in eV/Å.

Results
Energy relative to the best compared isomer or geometry (same formula, charge and spin) (kJ/mol): 356.5
LUMO level (eV): 1.015
E_tot (a.u.): -269.2105

Here are the natural (NBO) charges for atoms 1 to 4, given in e:
1 C -0.184
2 C -0.042
3 C -0.071
4 C 0.137

***

Entry 3:
This record from OMol25 describes one molecule with the formula C5H6O. The level of theory is ωB97M-V/def2-TZVPD.

```
12
Properties=species:S:1:pos:R:3:forces:R:3
C -1.24014 0.75306 -0.08546 0.113 -0.078 0.023
C -0.74469 -0.56344 0.48912 0.056 0.257 0.182
O -0.78139 -1.56766 -0.54218 0.054 -0.173 0.183
C 0.71935 -0.79480 0.75482 0.126 0.429 -0.096
C 1.65017 0.02659 0.15918 0.452 0.308 0.035
C 2.60294 0.72831 -0.16560 -0.564 -0.334 0.219
H -0.68935 0.99867 -1.00112 -0.113 -0.031 0.199
H -1.09230 1.55765 0.64782 -0.033 -0.195 -0.183
H -2.31111 0.68478 -0.31433 0.239 0.010 0.034
H -1.35367 -0.84960 1.36294 0.153 -0.011 -0.308
H -0.29042 -2.32149 -0.16322 -0.282 -0.039 -0.253
H 3.45710 1.32714 -0.40196 -0.201 -0.144 -0.036
```
Forces are in eV/Å.

Results
Energy relative to the best compared isomer or geometry (same formula, charge and spin) (kJ/mol): 490.4
LUMO level (eV): -1.074
E_tot (a.u.): -269.1594

Here are the natural (NBO) charges for atoms 1 to 4, given in e:
1 C -0.639
2 C -0.005
3 O -0.663
4 C 0.043

***

Entry 4:
This record from OMol25 describes one molecule with the formula C5H6O. The level of theory is ωB97M-V/def2-TZVPD.

```
12
Properties=species:S:1:pos:R:3:forces:R:3
C -2.69116 -0.09582 0.38062 0.096 -0.029 -0.016
C -1.23062 -0.13657 0.30364 0.696 0.027 -0.317
C -0.03672 -0.11036 0.11622 -0.593 0.194 0.087
C 1.31917 0.37598 -0.08440 -0.292 0.102 0.130
C 2.51485 -0.21028 0.53017 0.004 0.113 0.287
O 2.27652 -0.34137 -0.85739 -0.263 -0.136 -0.224
H -3.09738 -0.15258 -0.63621 -0.039 -0.077 0.250
H -3.07590 -0.92600 0.98064 -0.058 0.183 -0.117
H -3.01741 0.85783 0.81767 0.067 -0.303 -0.031
H 1.28748 1.44732 -0.27791 0.337 -0.085 0.001
H 2.40790 -1.12886 1.10975 0.081 0.240 -0.097
H 3.32609 0.46700 0.79415 -0.036 -0.230 0.048
```
Forces are in eV/Å.

Results
Energy relative to the best compared isomer or geometry (same formula, charge and spin) (kJ/mol): 266.2